== What to do ==
The reader should return the calculation results below without altering anything.

== Contents ==
+++
A relaxed Mg2Nb2NiO8 crystal. Source: the Alexandria database, functional GGA+U.

Values from the calculation:
VASP energy: -7.447 eV per atom
Space-group type: C2/c, No. 15

Cell lengths 9.972, 9.972, 5.181 Å; angles 89.38, 89.38, 35.02 degrees
Last column: magnetic moment on the atom in μB.
Fractional positions:
1 O 0.044 0.817 0.916  0.01
2 O 0.546 0.835 0.385  0.00
3 O 0.817 0.044 0.416  0.01
4 O 0.183 0.956 0.584  0.01
5 O 0.956 0.183 0.084  0.01
6 O 0.083 0.291 0.459  0.00
7 O 0.437 0.679 0.084  0.03
8 O 0.291 0.083 0.959  0.00
9 O 0.321 0.563 0.416  0.03
10 O 0.917 0.709 0.541  0.00
11 O 0.679 0.437 0.584  0.03
12 O 0.165 0.454 0.115  0.00
13 O 0.835 0.546 0.885  0.00
14 O 0.454 0.165 0.615  0.00
15 O 0.709 0.917 0.041  0.00
16 O 0.563 0.321 0.916  0.03
17 Mg 0.129 0.413 0.753  0.00
18 Mg 0.413 0.129 0.253  0.00
19 Mg 0.871 0.587 0.247  0.00
20 Mg 0.587 0.871 0.747  0.00
21 Nb 0.056 0.715 0.256  0.04
22 Nb 0.715 0.056 0.756  0.04
23 Nb 0.285 0.944 0.244  0.04
24 Nb 0.944 0.285 0.744  0.04
25 Ni 0.354 0.646 0.750  1.78
26 Ni 0.646 0.354 0.250  1.78


Here is an optimized crystal structure of NpCoRhO6 from the Alexandria database. Energies are from GGA+U.

symmetry	P-31c
final energy	-139.2	eV per cell
crystal system	trigonal
magnetization	1.02	μB per formula unit

Lattice parameters (Å, degrees): 5.0855 5.0855 8.9188 90.00 90.00 120.00
Last column: nearest neighbours and their distance in Å.
Sites, in units of the cell vectors:
Np 0.3333 0.6667 0.2500  6 O 2.07
Np 0.6667 0.3333 0.7500  6 O 2.07
Co 0.3333 0.6667 0.7500  6 O 1.95
Co 0.6667 0.3333 0.2500  6 O 1.95
Rh 0.0000 0.0000 0.0000  6 O 2.06
Rh 0.0000 0.0000 0.5000  6 O 2.06
O 0.0194 0.3466 0.6276  1 Co 1.95, 1 Rh 2.06, 1 Np 2.07
O 0.0194 0.6728 0.8724  1 Co 1.95, 1 Rh 2.06, 1 Np 2.07
O 0.3272 0.3466 0.8724  1 Co 1.95, 1 Rh 2.06, 1 Np 2.07
O 0.3272 0.9806 0.6276  1 Co 1.95, 1 Rh 2.06, 1 Np 2.07
O 0.3466 0.0194 0.1276  1 Co 1.95, 1 Rh 2.06, 1 Np 2.07
O 0.3466 0.3272 0.3724  1 Co 1.95, 1 Rh 2.06, 1 Np 2.07
O 0.6534 0.6728 0.6276  1 Co 1.95, 1 Rh 2.06, 1 Np 2.07
O 0.6534 0.9806 0.8724  1 Co 1.95, 1 Rh 2.06, 1 Np 2.07
O 0.6728 0.0194 0.3724  1 Co 1.95, 1 Rh 2.06, 1 Np 2.07
O 0.6728 0.6534 0.1276  1 Co 1.95, 1 Rh 2.06, 1 Np 2.07
O 0.9806 0.3272 0.1276  1 Co 1.95, 1 Rh 2.06, 1 Np 2.07
O 0.9806 0.6534 0.3724  1 Co 1.95, 1 Rh 2.06, 1 Np 2.07
+++

== Outcome ==
A relaxed Mg2Nb2NiO8 crystal. Source: the Alexandria database, functional GGA+U.

Values from the calculation:
VASP energy: -7.447 eV per atom
Space-group type: C2/c, No. 15

Cell lengths 9.972, 9.972, 5.181 Å; angles 89.38, 89.38, 35.02 degrees
Last column: magnetic moment on the atom in μB.
Fractional positions:
1 O 0.044 0.817 0.916  0.01
2 O 0.546 0.835 0.385  0.00
3 O 0.817 0.044 0.416  0.01
4 O 0.183 0.956 0.584  0.01
5 O 0.956 0.183 0.084  0.01
6 O 0.083 0.291 0.459  0.00
7 O 0.437 0.679 0.084  0.03
8 O 0.291 0.083 0.959  0.00
9 O 0.321 0.563 0.416  0.03
10 O 0.917 0.709 0.541  0.00
11 O 0.679 0.437 0.584  0.03
12 O 0.165 0.454 0.115  0.00
13 O 0.835 0.546 0.885  0.00
14 O 0.454 0.165 0.615  0.00
15 O 0.709 0.917 0.041  0.00
16 O 0.563 0.321 0.916  0.03
17 Mg 0.129 0.413 0.753  0.00
18 Mg 0.413 0.129 0.253  0.00
19 Mg 0.871 0.587 0.247  0.00
20 Mg 0.587 0.871 0.747  0.00
21 Nb 0.056 0.715 0.256  0.04
22 Nb 0.715 0.056 0.756  0.04
23 Nb 0.285 0.944 0.244  0.04
24 Nb 0.944 0.285 0.744  0.04
25 Ni 0.354 0.646 0.750  1.78
26 Ni 0.646 0.354 0.250  1.78


Here is an optimized crystal structure of NpCoRhO6 from the Alexandria database. Energies are from GGA+U.

symmetry	P-31c
final energy	-139.2	eV per cell
crystal system	trigonal
magnetization	1.02	μB per formula unit

Lattice parameters (Å, degrees): 5.0855 5.0855 8.9188 90.00 90.00 120.00
Last column: nearest neighbours and their distance in Å.
Sites, in units of the cell vectors:
Np 0.3333 0.6667 0.2500  6 O 2.07
Np 0.6667 0.3333 0.7500  6 O 2.07
Co 0.3333 0.6667 0.7500  6 O 1.95
Co 0.6667 0.3333 0.2500  6 O 1.95
Rh 0.0000 0.0000 0.0000  6 O 2.06
Rh 0.0000 0.0000 0.5000  6 O 2.06
O 0.0194 0.3466 0.6276  1 Co 1.95, 1 Rh 2.06, 1 Np 2.07
O 0.0194 0.6728 0.8724  1 Co 1.95, 1 Rh 2.06, 1 Np 2.07
O 0.3272 0.3466 0.8724  1 Co 1.95, 1 Rh 2.06, 1 Np 2.07
O 0.3272 0.9806 0.6276  1 Co 1.95, 1 Rh 2.06, 1 Np 2.07
O 0.3466 0.0194 0.1276  1 Co 1.95, 1 Rh 2.06, 1 Np 2.07
O 0.3466 0.3272 0.3724  1 Co 1.95, 1 Rh 2.06, 1 Np 2.07
O 0.6534 0.6728 0.6276  1 Co 1.95, 1 Rh 2.06, 1 Np 2.07
O 0.6534 0.9806 0.8724  1 Co 1.95, 1 Rh 2.06, 1 Np 2.07
O 0.6728 0.0194 0.3724  1 Co 1.95, 1 Rh 2.06, 1 Np 2.07
O 0.6728 0.6534 0.1276  1 Co 1.95, 1 Rh 2.06, 1 Np 2.07
O 0.9806 0.3272 0.1276  1 Co 1.95, 1 Rh 2.06, 1 Np 2.07
O 0.9806 0.6534 0.3724  1 Co 1.95, 1 Rh 2.06, 1 Np 2.07